Print the lines below up to the one that holds "-0.835607 2.016697", that line included.

'''
# 1
# CH5O2P

One molecule with the formula CH5O2P (the ωB97M-V functional and the def2-TZVPD basis, OMol25).

- energy above the lowest of the compared OMol25 structures with the same formula, charge and spin (eV) = 3.320
- HOMO-LUMO gap (eV) = 10.52
- E_LUMO (eV) = 0.93

```
9
Properties=species:S:1:pos:R:3:forces:R:3:nbo_charge:R:1
C 0.219674 0.585648 1.301317 -1.3 -0.8 -0.7 -0.94
O 0.371941 0.081861 -2.278033 -0.4 -1.6 -1.1 -0.47
O 0.311123 -0.797290 -1.088523 -1.0 0.9 -0.4 -0.53
P -0.906069 -0.115808 -0.028578 1.9 -0.8 -0.8 0.84
H 0.932698 0.039583 1.880065 0.7 -1.0 -0.4 0.23
H -0.547754 0.754903 2.047499 -0.2 1.3 0.3 0.23
H 0.698428 1.416952 0.785749 -0.3 0.4 0.6 0.24
H 0.190107 -0.549388 -3.070816 0.4 1.2 2.2 0.47
H -1.270147 -1.416461 0.451320 0.3 0.4 0.3 -0.07
```
Forces are in eV/Å.

# 2
# C33H61Cl2GeN3O4P3SeTl

C33H61Cl2GeN3O4P3SeTl as an isolated structure (the ωB97M-V functional and the def2-TZVPD basis, OMol25).

- HOMO-LUMO gap (eV) = 6.76
- E_LUMO (eV) = 0.24

```
109
Properties=species:S:1:pos:R:3:forces:R:3:nbo_charge:R:1
Tl -0.279554 -0.720225 -0.424571 0.0 -0.1 0.1 0.65
C -2.677131 1.045466 -3.446973 0.1 0.0 0.0 -0.61
C -1.732195 2.235648 -3.229822 0.0 0.0 0.1 -0.53
C -2.320404 3.541301 -3.769222 0.0 0.0 0.0 -0.61
P -1.035553 2.115463 -1.506554 0.0 0.1 -0.1 0.82
C -0.097611 3.688324 -1.164153 0.0 0.0 0.0 -0.51
C 1.003852 3.868039 -2.210190 0.0 -0.1 0.0 -0.60
C -0.924945 4.957797 -0.977891 0.0 0.0 0.0 -0.61
C -2.423742 2.241889 -0.324600 0.0 -0.1 0.0 -0.42
C -3.734547 2.598305 -0.627780 0.1 0.0 0.0 -0.17
C -4.723213 2.650064 0.343480 0.0 0.0 0.1 -0.26
C -4.386730 2.367876 1.659420 -0.1 0.0 0.0 -0.18
C -3.084902 2.030883 1.985769 -0.1 0.0 -0.1 -0.32
C -2.072923 1.937169 1.013142 0.2 0.1 0.0 0.28
N -0.777951 1.518588 1.303226 -0.1 0.1 -0.2 -0.80
C -0.104827 2.099696 2.330694 0.1 0.1 0.1 0.27
C -0.504301 3.329774 2.924581 0.0 -0.1 0.0 -0.34
C 0.154478 3.868402 4.008414 0.0 0.0 0.0 -0.18
C 1.269890 3.238920 4.555387 0.0 0.0 0.0 -0.29
C 1.732665 2.086454 3.943835 0.0 0.0 -0.1 -0.18
C 1.090857 1.505100 2.849031 -0.1 -0.1 0.0 -0.49
P 1.715233 0.028504 1.974721 0.1 0.1 0.1 0.81
C 2.776178 -0.971722 3.143306 0.0 0.0 0.0 -0.51
C 4.104678 -0.467937 3.712473 0.0 0.0 0.0 -0.61
C 1.887540 -1.532431 4.255688 0.0 0.0 0.0 -0.62
C 2.880048 0.770628 0.717564 -0.1 0.0 0.0 -0.50
C 3.762776 -0.324340 0.118932 0.0 0.0 0.0 -0.60
C 3.683294 2.000390 1.131035 0.0 0.0 0.0 -0.62
H -2.904210 0.938376 -4.509928 0.0 0.0 0.0 0.21
H -3.619368 1.165784 -2.913460 0.0 0.0 0.0 0.20
H -2.220272 0.111126 -3.112357 0.0 0.0 0.0 0.24
H -0.835607 2.016697 -3.823474 0.0 0.0 0.0 0.23
H -3.123673 3.940559 -3.151853 0.0 0.0 0.0 0.20
H -2.731507 3.361577 -4.766385 0.0 0.0 0.0 0.21
H -1.561559 4.316188 -3.866903 0.0 0.0 0.0 0.21
H 0.383893 3.460278 -0.206067 0.0 0.0 0.0 0.23
H 0.588735 4.113762 -3.189369 0.0 0.0 0.0 0.20
H 1.596309 2.956958 -2.321741 0.0 0.0 0.0 0.21
H 1.675401 4.679368 -1.921279 0.0 0.0 0.0 0.21
H -1.407136 5.265939 -1.904234 0.0 0.0 0.0 0.20
H -0.276609 5.775937 -0.652862 0.0 0.0 0.0 0.21
H -1.698502 4.821178 -0.222163 0.0 0.0 0.0 0.22
H -3.997170 2.861192 -1.641531 0.0 0.0 0.0 0.21
H -5.735144 2.928046 0.081135 0.0 0.0 0.0 0.21
H -5.136004 2.428052 2.439728 0.0 0.0 0.0 0.21
H -2.844078 1.895613 3.037087 -0.2 0.4 0.0 0.18
H -1.348294 3.857569 2.500344 0.0 0.0 0.0 0.22
H -0.197770 4.802391 4.430701 0.0 0.0 0.0 0.21
H 1.782557 3.654067 5.412213 0.0 0.0 0.0 0.21
H 2.638964 1.634338 4.316428 0.0 0.0 0.0 0.20
H 3.016483 -1.816911 2.486937 0.0 0.0 0.0 0.23
H 3.970912 0.250261 4.519253 0.0 0.0 0.0 0.20
H 4.736949 -0.013562 2.953703 0.0 0.0 0.0 0.21
H 4.652578 -1.315352 4.133244 0.0 0.0 0.0 0.21
H 1.563049 -0.736827 4.936160 0.0 0.0 -0.1 0.20
H 2.438216 -2.258567 4.856841 0.0 0.0 0.0 0.22
H 1.018900 -2.053515 3.843500 0.0 0.1 0.0 0.22
H 2.180319 1.092443 -0.066979 0.0 0.0 0.0 0.23
H 4.466548 -0.719955 0.853570 0.0 0.0 0.0 0.20
H 4.344354 0.075803 -0.714062 0.0 0.0 0.0 0.21
H 3.161977 -1.153178 -0.261462 0.0 0.0 0.0 0.21
'''

# 1
# CH5O2P

One molecule with the formula CH5O2P (the ωB97M-V functional and the def2-TZVPD basis, OMol25).

- energy above the lowest of the compared OMol25 structures with the same formula, charge and spin (eV) = 3.320
- HOMO-LUMO gap (eV) = 10.52
- E_LUMO (eV) = 0.93

```
9
Properties=species:S:1:pos:R:3:forces:R:3:nbo_charge:R:1
C 0.219674 0.585648 1.301317 -1.3 -0.8 -0.7 -0.94
O 0.371941 0.081861 -2.278033 -0.4 -1.6 -1.1 -0.47
O 0.311123 -0.797290 -1.088523 -1.0 0.9 -0.4 -0.53
P -0.906069 -0.115808 -0.028578 1.9 -0.8 -0.8 0.84
H 0.932698 0.039583 1.880065 0.7 -1.0 -0.4 0.23
H -0.547754 0.754903 2.047499 -0.2 1.3 0.3 0.23
H 0.698428 1.416952 0.785749 -0.3 0.4 0.6 0.24
H 0.190107 -0.549388 -3.070816 0.4 1.2 2.2 0.47
H -1.270147 -1.416461 0.451320 0.3 0.4 0.3 -0.07
```
Forces are in eV/Å.

# 2
# C33H61Cl2GeN3O4P3SeTl

C33H61Cl2GeN3O4P3SeTl as an isolated structure (the ωB97M-V functional and the def2-TZVPD basis, OMol25).

- HOMO-LUMO gap (eV) = 6.76
- E_LUMO (eV) = 0.24

```
109
Properties=species:S:1:pos:R:3:forces:R:3:nbo_charge:R:1
Tl -0.279554 -0.720225 -0.424571 0.0 -0.1 0.1 0.65
C -2.677131 1.045466 -3.446973 0.1 0.0 0.0 -0.61
C -1.732195 2.235648 -3.229822 0.0 0.0 0.1 -0.53
C -2.320404 3.541301 -3.769222 0.0 0.0 0.0 -0.61
P -1.035553 2.115463 -1.506554 0.0 0.1 -0.1 0.82
C -0.097611 3.688324 -1.164153 0.0 0.0 0.0 -0.51
C 1.003852 3.868039 -2.210190 0.0 -0.1 0.0 -0.60
C -0.924945 4.957797 -0.977891 0.0 0.0 0.0 -0.61
C -2.423742 2.241889 -0.324600 0.0 -0.1 0.0 -0.42
C -3.734547 2.598305 -0.627780 0.1 0.0 0.0 -0.17
C -4.723213 2.650064 0.343480 0.0 0.0 0.1 -0.26
C -4.386730 2.367876 1.659420 -0.1 0.0 0.0 -0.18
C -3.084902 2.030883 1.985769 -0.1 0.0 -0.1 -0.32
C -2.072923 1.937169 1.013142 0.2 0.1 0.0 0.28
N -0.777951 1.518588 1.303226 -0.1 0.1 -0.2 -0.80
C -0.104827 2.099696 2.330694 0.1 0.1 0.1 0.27
C -0.504301 3.329774 2.924581 0.0 -0.1 0.0 -0.34
C 0.154478 3.868402 4.008414 0.0 0.0 0.0 -0.18
C 1.269890 3.238920 4.555387 0.0 0.0 0.0 -0.29
C 1.732665 2.086454 3.943835 0.0 0.0 -0.1 -0.18
C 1.090857 1.505100 2.849031 -0.1 -0.1 0.0 -0.49
P 1.715233 0.028504 1.974721 0.1 0.1 0.1 0.81
C 2.776178 -0.971722 3.143306 0.0 0.0 0.0 -0.51
C 4.104678 -0.467937 3.712473 0.0 0.0 0.0 -0.61
C 1.887540 -1.532431 4.255688 0.0 0.0 0.0 -0.62
C 2.880048 0.770628 0.717564 -0.1 0.0 0.0 -0.50
C 3.762776 -0.324340 0.118932 0.0 0.0 0.0 -0.60
C 3.683294 2.000390 1.131035 0.0 0.0 0.0 -0.62
H -2.904210 0.938376 -4.509928 0.0 0.0 0.0 0.21
H -3.619368 1.165784 -2.913460 0.0 0.0 0.0 0.20
H -2.220272 0.111126 -3.112357 0.0 0.0 0.0 0.24
H -0.835607 2.016697 -3.823474 0.0 0.0 0.0 0.23